# Work order
Write out the contents below from the first line to the one with "-0.956" with every line break kept.
# File
Entry 1:
C6H23NO7 | wB97M-V/def2-TZVPD

Each line ends with the natural charge from an NBO analysis.
Positions of all 37 atoms, in Å:
C (-2.29, -0.98, -2.95)  -0.396
C (-1.43, -1.87, -2.44)  -0.186
C (-0.02, -1.78, -2.42)  -0.475
C (0.21, -0.28, -1.82)  -0.216
N (0.03, 0.01, -0.37)  -0.640
C (0.81, -0.65, 0.58)  0.709
C (2.18, -1.13, 0.24)  -0.725
O (0.52, -0.63, 1.78)  -0.702
H (-3.27, -0.74, -2.79)  0.206
H (-1.81, -0.09, -3.40)  0.159
H (-1.99, -2.77, -2.00)  0.221
H (0.58, -2.44, -1.84)  0.223
H (0.53, -1.71, -3.43)  0.232
H (1.26, 0.05, -2.14)  0.227
H (-0.58, 0.40, -2.29)  0.216
H (-0.89, 0.33, -0.04)  0.437
H (2.57, -0.95, -0.74)  0.242
H (2.93, -0.46, 0.83)  0.243
H (2.22, -2.24, 0.41)  0.242
O (-2.09, 0.45, 1.50)  -0.993
H (-2.27, 0.79, 2.45)  0.519
H (-2.87, -0.11, 1.35)  0.483
O (1.10, 3.36, -0.53)  -0.945
H (1.65, 3.91, 0.18)  0.480
H (0.48, 3.02, 0.12)  0.502
O (-2.18, -2.40, 1.00)  -0.959
H (-2.00, -2.82, 1.80)  0.472
H (-1.68, -1.59, 0.91)  0.485
O (0.24, 2.72, 2.16)  -0.972
H (0.29, 1.75, 2.45)  0.494
H (0.59, 3.11, 2.94)  0.471
O (2.98, 1.60, -1.19)  -1.009
H (2.14, 2.10, -0.98)  0.511
H (3.56, 1.40, -0.40)  0.464
O (-0.79, 0.43, 3.69)  -0.981
H (-0.39, 0.11, 4.42)  0.465
H (-0.32, 0.10, 2.95)  0.495

Spin multiplicity: 1
Energy above the lowest of the compared OMol25 structures with the same formula, charge and spin: 51.44 kcal per mole
E_LUMO: 0.37 eV
Orbital gap: 9.67 eV
HOMO: -9.30 eV

***

Entry 2:
C16H21N3O | wB97M-V/def2-TZVPD

Each line ends with the natural charge from an NBO analysis.
Positions of all 41 atoms, in Å:
C (-2.97, 1.14, 0.59)  -0.450
N (-2.24, 1.35, -0.69)  0.080
C (-2.47, 2.78, -1.00)  -0.393
O (-2.77, 0.59, -1.54)  -0.723
C (-0.87, 1.18, -0.46)  -0.266
C (-0.35, -0.18, -0.77)  -0.216
N (1.08, -0.47, -0.38)  -0.466
C (1.46, -1.57, 0.43)  -0.222
C (0.39, -1.75, 1.55)  0.003
C (-0.01, -0.72, 2.40)  -0.245
C (-1.07, -0.88, 3.34)  -0.203
C (-1.58, -2.23, 3.52)  -0.215
C (-1.10, -3.30, 2.77)  -0.216
C (-0.09, -3.16, 1.82)  -0.196
C (2.03, 0.11, -1.21)  0.384
C (2.96, -0.59, -1.94)  -0.270
C (3.83, 0.02, -2.73)  -0.175
C (3.74, 1.37, -2.94)  -0.264
C (2.80, 2.10, -2.29)  0.037
N (2.01, 1.43, -1.40)  -0.464
H (-4.06, 1.28, 0.33)  0.221
H (-2.72, 0.07, 0.84)  0.227
H (-2.87, 1.81, 1.47)  0.198
H (-3.50, 3.03, -0.97)  0.220
H (-1.97, 3.21, -0.15)  0.183
H (-1.82, 3.03, -1.81)  0.217
H (-0.59, 1.33, 0.58)  0.214
H (-0.27, 1.96, -1.00)  0.242
H (-1.01, -0.95, -0.47)  0.235
H (-0.46, -0.30, -1.90)  0.218
H (1.61, -2.49, -0.09)  0.172
H (2.50, -1.44, 0.83)  0.212
H (0.64, 0.14, 2.44)  0.222
H (-1.47, 0.05, 3.80)  0.223
H (-2.42, -2.49, 4.10)  0.213
H (-1.53, -4.26, 2.77)  0.213
H (0.27, -3.91, 1.18)  0.209
H (2.85, -1.71, -2.05)  0.213
H (4.64, -0.63, -3.12)  0.218
H (4.54, 1.91, -3.49)  0.213
H (2.88, 3.14, -2.36)  0.197

Spin multiplicity: 1
Energy above the lowest of the compared OMol25 structures with the same formula, charge and spin: 158.93 kcal per mole
E_LUMO: 0.78 eV
Orbital gap: 8.90 eV
HOMO: -8.12 eV

***

Entry 3:
C4H21N2O5 | wB97M-V/def2-TZVPD

Each line ends with the natural charge from an NBO analysis.
Positions of all 32 atoms, in Å:
C (0.52, -0.09, 1.04)  -0.231
C (1.35, 1.01, 0.43)  -0.442
C (0.62, 1.79, -0.66)  -0.262
C (-0.21, 1.21, -2.77)  -0.009
N (-0.17, 0.92, -1.54)  -0.474
N (0.60, -1.29, 0.16)  -0.726
H (-0.50, 0.23, 1.19)  0.216
H (0.85, -0.37, 2.05)  0.251
H (1.67, 1.74, 1.22)  0.247
H (2.37, 0.67, 0.10)  0.227
H (0.07, 2.60, -0.22)  0.224
H (1.38, 2.25, -1.29)  0.192
H (0.41, 1.99, -3.24)  0.155
H (-0.75, 0.65, -3.53)  0.186
H (-0.18, -2.03, 0.35)  0.479
H (0.46, -0.99, -0.80)  0.460
H (1.41, -1.83, 0.45)  0.444
H (2.56, -2.04, -3.14)  0.481
H (1.53, -1.23, -3.23)  0.466
O (1.81, -1.86, -2.53)  -0.942
H (2.88, -1.84, 2.96)  0.490
H (3.33, -2.18, 1.64)  0.478
O (2.80, -1.48, 2.07)  -0.956
H (-3.36, 3.09, 1.66)  0.509
H (-4.16, 2.28, 0.50)  0.504
O (-3.37, 2.36, 1.03)  -0.974
H (-2.31, -0.03, -0.15)  0.480
H (-3.02, 0.74, 0.99)  0.507
O (-2.96, -0.15, 0.55)  -0.975
# Worked solution
Entry 1:
C6H23NO7 | wB97M-V/def2-TZVPD

Each line ends with the natural charge from an NBO analysis.
Positions of all 37 atoms, in Å:
C (-2.29, -0.98, -2.95)  -0.396
C (-1.43, -1.87, -2.44)  -0.186
C (-0.02, -1.78, -2.42)  -0.475
C (0.21, -0.28, -1.82)  -0.216
N (0.03, 0.01, -0.37)  -0.640
C (0.81, -0.65, 0.58)  0.709
C (2.18, -1.13, 0.24)  -0.725
O (0.52, -0.63, 1.78)  -0.702
H (-3.27, -0.74, -2.79)  0.206
H (-1.81, -0.09, -3.40)  0.159
H (-1.99, -2.77, -2.00)  0.221
H (0.58, -2.44, -1.84)  0.223
H (0.53, -1.71, -3.43)  0.232
H (1.26, 0.05, -2.14)  0.227
H (-0.58, 0.40, -2.29)  0.216
H (-0.89, 0.33, -0.04)  0.437
H (2.57, -0.95, -0.74)  0.242
H (2.93, -0.46, 0.83)  0.243
H (2.22, -2.24, 0.41)  0.242
O (-2.09, 0.45, 1.50)  -0.993
H (-2.27, 0.79, 2.45)  0.519
H (-2.87, -0.11, 1.35)  0.483
O (1.10, 3.36, -0.53)  -0.945
H (1.65, 3.91, 0.18)  0.480
H (0.48, 3.02, 0.12)  0.502
O (-2.18, -2.40, 1.00)  -0.959
H (-2.00, -2.82, 1.80)  0.472
H (-1.68, -1.59, 0.91)  0.485
O (0.24, 2.72, 2.16)  -0.972
H (0.29, 1.75, 2.45)  0.494
H (0.59, 3.11, 2.94)  0.471
O (2.98, 1.60, -1.19)  -1.009
H (2.14, 2.10, -0.98)  0.511
H (3.56, 1.40, -0.40)  0.464
O (-0.79, 0.43, 3.69)  -0.981
H (-0.39, 0.11, 4.42)  0.465
H (-0.32, 0.10, 2.95)  0.495

Spin multiplicity: 1
Energy above the lowest of the compared OMol25 structures with the same formula, charge and spin: 51.44 kcal per mole
E_LUMO: 0.37 eV
Orbital gap: 9.67 eV
HOMO: -9.30 eV

***

Entry 2:
C16H21N3O | wB97M-V/def2-TZVPD

Each line ends with the natural charge from an NBO analysis.
Positions of all 41 atoms, in Å:
C (-2.97, 1.14, 0.59)  -0.450
N (-2.24, 1.35, -0.69)  0.080
C (-2.47, 2.78, -1.00)  -0.393
O (-2.77, 0.59, -1.54)  -0.723
C (-0.87, 1.18, -0.46)  -0.266
C (-0.35, -0.18, -0.77)  -0.216
N (1.08, -0.47, -0.38)  -0.466
C (1.46, -1.57, 0.43)  -0.222
C (0.39, -1.75, 1.55)  0.003
C (-0.01, -0.72, 2.40)  -0.245
C (-1.07, -0.88, 3.34)  -0.203
C (-1.58, -2.23, 3.52)  -0.215
C (-1.10, -3.30, 2.77)  -0.216
C (-0.09, -3.16, 1.82)  -0.196
C (2.03, 0.11, -1.21)  0.384
C (2.96, -0.59, -1.94)  -0.270
C (3.83, 0.02, -2.73)  -0.175
C (3.74, 1.37, -2.94)  -0.264
C (2.80, 2.10, -2.29)  0.037
N (2.01, 1.43, -1.40)  -0.464
H (-4.06, 1.28, 0.33)  0.221
H (-2.72, 0.07, 0.84)  0.227
H (-2.87, 1.81, 1.47)  0.198
H (-3.50, 3.03, -0.97)  0.220
H (-1.97, 3.21, -0.15)  0.183
H (-1.82, 3.03, -1.81)  0.217
H (-0.59, 1.33, 0.58)  0.214
H (-0.27, 1.96, -1.00)  0.242
H (-1.01, -0.95, -0.47)  0.235
H (-0.46, -0.30, -1.90)  0.218
H (1.61, -2.49, -0.09)  0.172
H (2.50, -1.44, 0.83)  0.212
H (0.64, 0.14, 2.44)  0.222
H (-1.47, 0.05, 3.80)  0.223
H (-2.42, -2.49, 4.10)  0.213
H (-1.53, -4.26, 2.77)  0.213
H (0.27, -3.91, 1.18)  0.209
H (2.85, -1.71, -2.05)  0.213
H (4.64, -0.63, -3.12)  0.218
H (4.54, 1.91, -3.49)  0.213
H (2.88, 3.14, -2.36)  0.197

Spin multiplicity: 1
Energy above the lowest of the compared OMol25 structures with the same formula, charge and spin: 158.93 kcal per mole
E_LUMO: 0.78 eV
Orbital gap: 8.90 eV
HOMO: -8.12 eV

***

Entry 3:
C4H21N2O5 | wB97M-V/def2-TZVPD

Each line ends with the natural charge from an NBO analysis.
Positions of all 32 atoms, in Å:
C (0.52, -0.09, 1.04)  -0.231
C (1.35, 1.01, 0.43)  -0.442
C (0.62, 1.79, -0.66)  -0.262
C (-0.21, 1.21, -2.77)  -0.009
N (-0.17, 0.92, -1.54)  -0.474
N (0.60, -1.29, 0.16)  -0.726
H (-0.50, 0.23, 1.19)  0.216
H (0.85, -0.37, 2.05)  0.251
H (1.67, 1.74, 1.22)  0.247
H (2.37, 0.67, 0.10)  0.227
H (0.07, 2.60, -0.22)  0.224
H (1.38, 2.25, -1.29)  0.192
H (0.41, 1.99, -3.24)  0.155
H (-0.75, 0.65, -3.53)  0.186
H (-0.18, -2.03, 0.35)  0.479
H (0.46, -0.99, -0.80)  0.460
H (1.41, -1.83, 0.45)  0.444
H (2.56, -2.04, -3.14)  0.481
H (1.53, -1.23, -3.23)  0.466
O (1.81, -1.86, -2.53)  -0.942
H (2.88, -1.84, 2.96)  0.490
H (3.33, -2.18, 1.64)  0.478
O (2.80, -1.48, 2.07)  -0.956